Truelogic Episode 85 Recap: Social Media Trends in 2024
Podcast Transcription
Berns San Juan: So the year is almost up and it’s right about time for us to start talking about 2024. So let’s talk about 2024. Hi guys, welcome to another episode of the Truelogic DX podcast. Did you know that Meta launched its first smart glasses with a display? Did you hear about MasterCard harnessing the power of natural language processing to create a Facebook Messenger bot that can decipher what the customer needs and is asking for and can help automate payments?
What would you say if I told you Netflix saved a staggering $1 billion in annual revenue by leveraging AI to enhance its personalized recommendation system, which they needed given the rider’s strike? And what if I told you that IKEA is probably generating billions of dollars in annual revenue globally, all thanks to the clever use of AI and VR to enrich their customers’ experiences?
These are just some of the drastic changes that we’ve been seeing and they’re already happening around us, and you know there will be more in the years to come. And 2024, I think, will be remarkable. If we thought 2023 was remarkable, we’d tell you, see what 2024 has in store. So these stories are indicators of what massive developments still lie ahead of us, especially in the world of AI and social media. And if you spot the trend and you adapt to it correctly, you may be able to ride the wave and drive positive results for your brands.
Recap of 2023 Social Media Trends
Berns San Juan: So with us starting with that intro, let’s do a social media recap of 2023. Okay, so 2023, aspirational aesthetic-driven content declined a bit in 2023. And what we’ve been seeing is that more and more brands started using genuine, unfiltered content, more girl and guy-next-door models, versus using celebrity hero-centric content. Like, I’ll give you guys an example If you guys follow Nike Park on Viber, what you’ll notice is that they don’t use overly attractive models on it.
I mean, they use models, but the models are, you know, guys next door, girls next door, people that might be your classmates, people that might look like your neighbors. And yes, Nike still collaborates with celebrities. But every time they’ve got a mention of a celebrity, they are collaborating with the celebrity on the design, but the celebrity is not the one endorsing the product, right? Like, and so this is what I mean when we say authentic, not aesthetic driven, and so on.
(Unrelated to this page: crystal structures)
'''
## SnGeSbAs (PBE)

Data for SnGeSbAs after structural relaxation.

Cell lengths 7.214, 4.168, 8.348 Å; angles 90.00, 105.84, 90.00 degrees
Space group Cm (No. 8)
Symmetry-distinct sites (fractional):
Sn  0.000  0.000  0.000 (multiplicity 2)
Ge  0.169  0.000  0.477 (multiplicity 2)
Sb  0.387  0.500  0.639 (multiplicity 2)
As  0.215  0.500  0.152 (multiplicity 2)


## GeSbTe2As (PBE)

Data for GeSbTe2As after structural relaxation.

Cell lengths 5.307, 5.307, 5.381 Å; angles 90.00, 90.00, 90.00 degrees
Space group P4/mmm (No. 123)
Symmetry-distinct sites (fractional):
Ge  0.000  0.000  0.000 (multiplicity 1)
Sb  0.000  0.000  0.500 (multiplicity 1)
Te  0.000  0.500  0.000 (multiplicity 2)
As  0.500  0.500  0.500 (multiplicity 1)


## GeSbTe2As (PBE)

Data for GeSbTe2As after structural relaxation.

Cell lengths 5.502, 5.502, 5.220 Å; angles 90.00, 90.00, 90.00 degrees
Space group P4/mmm (No. 123)
Symmetry-distinct sites (fractional):
Ge  0.000  0.000  0.000 (multiplicity 1)
Sb  0.500  0.500  0.000 (multiplicity 1)
Te  0.000  0.500  0.500 (multiplicity 2)
As  0.500  0.500  0.500 (multiplicity 1)


## Th6Ge2SbAs3 (PBE)

Data for Th6Ge2SbAs3 after structural relaxation.

Cell lengths 18.797, 4.312, 8.642 Å; angles 90.00, 103.02, 90.00 degrees
Space group C2/m (No. 12)
Symmetry-distinct sites (fractional):
Th  0.002  0.000  0.266 (multiplicity 4)
Th  0.168  0.500  0.582 (multiplicity 4)
Th  0.173  0.500  0.090 (multiplicity 4)
Ge  0.167  0.000  0.333 (multiplicity 4)
Sb  0.000  0.500  0.000 (multiplicity 2)
As  0.000  0.500  0.500 (multiplicity 2)
As  0.164  0.000  0.833 (multiplicity 4)


## Th4GeSbAs2 (PBE)

Data for Th4GeSbAs2 after structural relaxation.

Cell lengths 7.492, 4.320, 7.534 Å; angles 90.00, 109.30, 90.00 degrees
Space group P2/m (No. 10)
Symmetry-distinct sites (fractional):
Th  0.236  0.000  0.234 (multiplicity 2)
Th  0.245  0.500  0.759 (multiplicity 2)
Ge  0.500  0.000  0.000 (multiplicity 1)
Sb  0.500  0.500  0.500 (multiplicity 1)
As  0.000  0.000  0.500 (multiplicity 1)
As  0.000  0.500  0.000 (multiplicity 1)


## Th6Ge3SbAs2 (PBE)

Data for Th6Ge3SbAs2 after structural relaxation.

Cell lengths 18.858, 4.320, 8.664 Å; angles 90.00, 103.27, 90.00 degrees
Space group C2/m (No. 12)
Symmetry-distinct sites (fractional):
Th  0.001  0.000  0.265 (multiplicity 4)
Th  0.166  0.500  0.585 (multiplicity 4)
Th  0.173  0.500  0.084 (multiplicity 4)
Ge  0.000  0.500  0.500 (multiplicity 2)
Ge  0.165  0.000  0.832 (multiplicity 4)
Sb  0.000  0.500  0.000 (multiplicity 2)
As  0.168  0.000  0.334 (multiplicity 4)


## Th4Ge2SbAs (PBE)

Data for Th4Ge2SbAs after structural relaxation.

Cell lengths 7.535, 4.337, 7.542 Å; angles 90.00, 109.39, 90.00 degrees
Space group P2/m (No. 10)
Symmetry-distinct sites (fractional):
Th  0.237  0.000  0.235 (multiplicity 2)
Th  0.245  0.500  0.759 (multiplicity 2)
Ge  0.000  0.500  0.000 (multiplicity 1)
Ge  0.500  0.000  0.000 (multiplicity 1)
Sb  0.500  0.500  0.500 (multiplicity 1)
'''
(End of the crystal structures)
2023 is the year where, at least for Truelogic, we have a lot of questions about, whether are we reaching the right people. Are we targeting the queries that our customers are looking for, right? And so businesses have begun to focus more and more on talking to the right audience. So, less and less about, cast me as wide a net as you can, and more and more, are we catching the right kind of fish, which is excellent in my opinion.
So the importance of making the audience the hero has been an ever-increasing trend in 2023, which is great because that’s sort of like that’s sort of like what makes Truelogic different when we do SEO strategies, social strategies, and AdWords strategies. We’re always asking our clients, who are you talking to? Because it’s also important for us to know, who are you not talking to, right?
And so I think audiences and audience optimizations will play more and more vital roles in terms of marketing strategies and getting their products in front of the right people, and not just getting your products in front of as many people as you can.
One of the things that I’ve been preaching for the last 10 years is, digital has to be consistent. And this year, we’ve seen more and more brands become more and more consistent when it comes to content publication and social media posts. So gone are the brands where okay, I’ll post something today, and then the next one is two weeks from now, and then the next one is like a couple of hours from now. So gone are the days when brands are posting stuff when they feel like it because they’re realizing more and more that people look for consistency. So it’s great that digital is becoming a part of the relationship with the audience.
2023 is also a year of engagement. Right In-feed social content helps different brands establish their presence. Short-form video content has been super relevant. So I’ll give you guys an example of some brands that are doing this, right, and I’m so happy. So, to those of you that don’t know, and for those of you that are looking at the video right, like, this is an ROG tablet. So clearly, I am both a geek and a gamer. And what surprised me is that I saw shorts from Blizzard, I saw shorts from Diablo.
So I saw shorts from video brands that I follow, and you know, oddly enough, I don’t have TikTok, but I did take a look at somebody’s TikTok just to find out if these brands that I have relationships with are there. And sure enough, they’re there with like 123,000 followers, right, which I just think is awesome. So short-form content continues to become part of the conversation.
2024 Social Media Trends
1. Authenticity
So what else should you look forward to in 2024, given the recap of 2023? So one, authenticity, right? And when I say authenticity, what I’ll usually mean to say is it is not product-centric, it is not brand-centric, it is audience-centric. Authentic content is engaging and human-centric. If your hero image is the facade of a building, that is not authenticity. If your insurance products are just numbers on a billboard, that’s not authenticity. Right? Brand authenticity is human-centric.
A great example of brands that do this locally, I think, is Sunlife. They do a great job of very human-centric content. And so they come off as very authentic. So is it any wonder that when they organize marathons when they organize health events, people participate? So this is an example of authenticity and people believe that, you know, they are committed to healthier, better lives.
2. Using social media shopping outlets
I used to joke, that one of the trends that I saw as early as, like 2017, and 2018 was live selling in China. It was such a big deal and I always wondered, would I ever fly here? And now I cannot walk through Shoppesville in Greenhills without hearing one of the toy stores and one of the toy vendors there, live selling, right? We even have a sister brand that live sells, and it works in terms of moving inventory and moving products. And I always just thought, why would people ever buy that? That’s tacky, but you know, it works, right? So I’m not going to question the data, right? I’m seeing the evidence.
But using social media more and more as another channel to reach your customers and your audience will gain more and more popularity. So a great example. But this is going to be international data. HubSpot did a survey and it showed that 22% of social media users purchased the product directly from Instagram. They also ran a survey where they found that 21% of the people they surveyed, and 21% of the consumers they surveyed said that they had used Facebook to buy products. That’s crazy, but it is the way to go. People are taking their commercial experiences not just, to the website, but also to social media platforms.
3. Short-form content is still going to be king
Earlier, we talked about my misconception about how tacky live selling was going to be, and again it works. So sometimes, it pays to be wrong. But this time, we’re going to talk about short-form video content. And again, it’s a trend that got popularized by TikTok. It took off in 2022, and it gained more momentum in 2023. And it’s still not showing any signs of saturation or slowing down. And so I anticipate that short-form content will continue to remain popular in 2024.
TikTok grew to about 1.6 billion users, actually closer to 1.7 than it is to 1.6 in 2023. And 1.1 billion of them are monthly active users. There is, a lot, and there seems to be a lot of appetite for bite-sized content. This is why you will also see Truelogic DX podcasts in 20-second and 18-second shorts. And those get watched, by the way. They probably get watched more than this entire podcast episode gets listened to.
4. Phasing out of third-party cookies
A little hard to relate to when you’re in the Philippines, because we’re not very data abused, right, like more in the US. But with Apple’s improvements to privacy, with Facebook saying that they are more committed to privacy, with your iPhone allowing you to ask the app not to track, third-party people that sell your data are not able to attach your behavior to your personally identifiable information, and vice versa, right.
So what does this mean? This means you should not be, like for you as a brand, this means that you should not be relying on third-party data to be able to reach your customers. Instead, your Facebook page builds an audience. Optimize that experience. Your website creates experiences for your customers. Optimize that. So try to build out your proprietary database of your customers, your users, how they behave, what’s popular on your website, and how they interact with you, versus having to rely on third-party providers that tell you oh, I can target 10 million people for you, I can target 5 million people for you. That might have been great four years ago. It hasn’t been great in the last two years.
5. Environment, sustainability, and good governance are going to continue to remain parts of the conversation
I know that in some areas of the world, ESG has become a politicized topic, but for more and more Filipinos, it is becoming a very relevant topic. Like, today’s consumers don’t just want to listen to words like sustainability or eco-friendly. They want to see the impact. They want to see that the brands are walking the walk and that they’re not just talking the talk. In a survey, 82% of Filipinos that were surveyed said that they wanted companies to prioritize two things, and it was people and the planet and not just pure profit.
6. AI will continue to improve the way we reach our audience.
It will continue to improve the way we produce content, and so on. I’m not sure if you guys have noticed. There have been a lot of terrific improvements in terms of AI generation. I’ll give you guys two examples. Have you guys tried the image generation capabilities from MidJourney and Canva? Canva, with some pretty basic instructions, can design a website for you. Like, if you just give it some ideas, if you tell it what its color palette is, if you give it some basis, it can design it from its templates.
MidJourney is the same. You’re able to design single-image posts directly from MidJourney. You just need to describe what you would like to see. It will give you a couple of iterations. You just have to prompt it to say, okay, give me three versions of this. Rate them from one to three, and so on. So do I think MidJourney and Canva are going to take the jobs of our artists? Not. But I do think that the more competitive, the more content, the most productive designers, and artists are going to be the ones that learn to use the tools versus the ones that do not.
7. Human touch is going to remain a very prominent element in marketing conversations.
# Materials data that have nothing to do with the article
********
# 1
PBE OsSeO2, optimized geometry; density = 9.590 Mg/m³; E_tot = -6.111 eV per atom; crystal system = trigonal; space-group type = R-3m
1.0
1.412 0.815 7.556
-1.412 0.815 7.556
0.000 -1.630 7.556
Os Se O
1 1 2
direct
0.000 0.000 0.000 Os
0.500 0.500 0.500 Se
0.079 0.079 0.079 O
0.921 0.921 0.921 O

---

# 2
PBE SrLiPrPd, optimized geometry; density = 5.336 Mg/m³; ΔE_f = -0.24 eV/atom; crystal system = cubic; space-group type = F-43m
1.0
0.000 3.761 3.761
3.761 0.000 3.761
3.761 3.761 0.000
Sr Li Pr Pd
1 1 1 1
direct
0.000 0.000 0.000 Sr
0.750 0.750 0.750 Li
0.500 0.500 0.500 Pr
0.250 0.250 0.250 Pd

---

# 3
PBE GaAs2Pb, optimized geometry; density = 6.014 Mg/m³; ΔE_f = -0.05 eV/atom; offset from the most stable computed form = 0 kJ/mol of formula units; crystal system = tetragonal; space-group type = I-42d
1.0
-3.120 3.120 6.052
3.120 -3.120 6.052
3.120 3.120 -6.052
Ga As Pb
2 4 2
direct
0.000 0.000 0.000 Ga
0.750 0.250 0.500 Ga
0.076 0.625 0.951 As
0.375 0.326 0.451 As
0.674 0.125 0.049 As
0.875 0.924 0.549 As
0.250 0.750 0.500 Pb
0.500 0.500 0.000 Pb

---

# 4
PBE BaVFe2, optimized geometry; density = 5.134 Mg/m³; ΔE_f = 0.80 eV/atom; offset from the most stable computed form = 0 kJ/mol of formula units; crystal system = tetragonal; space-group type = I4_1/amd
1.0
-2.482 2.482 7.877
2.482 -2.482 7.877
2.482 2.482 -7.877
Ba V Fe
2 2 4
direct
0.375 0.625 0.750 Ba
0.625 0.375 0.250 Ba
0.125 0.875 0.250 V
0.875 0.125 0.750 V
0.000 0.000 0.000 Fe
0.000 0.000 0.500 Fe
0.000 0.500 0.000 Fe
0.500 0.000 0.500 Fe

---

# 5
PBE Sc3AlN, optimized geometry; density = 2.755 Mg/m³; E_tot = -5.882 eV per atom; crystal system = hexagonal; space-group type = P6_3/mmc
1.0
4.090 0.000 0.000
-2.045 3.542 0.000
0.000 0.000 14.636
Sc Al N
6 2 2
direct
0.000 0.000 0.250 Sc
0.000 0.000 0.750 Sc
0.333 0.667 0.064 Sc
0.333 0.667 0.436 Sc
0.667 0.333 0.564 Sc
0.667 0.333 0.936 Sc
0.333 0.667 0.250 Al
0.667 0.333 0.750 Al
0.000 0.000 0.000 N
0.000 0.000 0.500 N

---

# 6
PBE ScTaBe, optimized geometry; density = 7.847 Mg/m³; ΔE_f = 0.08 eV/atom; offset from the most stable computed form = 0 kJ/mol of formula units; crystal system = tetragonal; space-group type = I4mm
1.0
-1.467 1.467 5.772
1.467 -1.467 5.772
1.467 1.467 -5.772
Sc Ta Be
1 1 1
direct
0.000 0.000 0.000 Sc
0.300 0.300 0.000 Ta
0.662 0.662 0.000 Be

----------

LiLaTlHg: optimized geometry, GGA-PBE.

## Properties
Electronic total energy   -2.7983 eV/atom
Density   8.78 Mg/m³

Cell: 7.469 7.469 7.469 Å, 90.00 90.00 90.00°
Space group F-43m (No. 216)
Symmetry-distinct sites (fractional):
Li1 0.000 0.000 0.000 x4
La1 0.000 0.000 0.500 x4
Tl1 0.250 0.250 0.250 x4
Hg1 0.250 0.250 0.750 x4


LaMgHg2: optimized geometry, GGA-PBE.

## Properties
Electronic total energy   -1.8958 eV/atom
Density   8.97 Mg/m³

Cell: 5.3143 5.3143 8.5427 Å, 90.00 90.00 120.00°
Space group P6_3/mmc (No. 194)
Symmetry-distinct sites (fractional):
La1 0.0000 0.0000 0.2500 x2
Mg1 0.3333 0.6667 0.2500 x2
Hg1 0.3333 0.6667 0.5719 x4
********
Like user-generated content made waves in 2022 and 2023. I anticipate it will be the same. We don’t wanna see what an AI thinks about a product. What we want to see is what an actual human being, another human being, or a customer like you, has experienced with this product. This is what we want to see. Thus user-generated content, authenticity, and content are still going to be very important factors in your messaging, in your website content, and in your content plan.
But I will also say that humans will play a big role is in empathy is, in understanding, how your customers, so AI, can generate for you, but it cannot empathize for you. And so I think more and more brands and marketers are going to have to learn the psychology of their customers. They’re going to have to learn to read data so that they can storify the analytics, like what the user’s journey is like, on their websites. And it will be people that still dictate the strategy, what the content strategy will look like, and what the priorities will look like, and that will not be AI that does that anytime soon.
Strategies for Successful Social Media Marketing in 2024
1. Sell a story
So, for 2024, first things first, your content. If you aren’t yet telling a story, start telling a story. One of the reasons Truelogic has so much legitimacy in the market is that we’ve been telling a story for 12 years. Like we’ve been telling a very consistent story, 12 might be, whoa, might be 14? I’ll say 12, it makes me sound younger, but we’ve been telling a pretty consistent story. We’ve been evangelizing for 12 years.
If storytelling is not part of your arsenal, if it’s not, if you’re still connecting with your customers by being the best priced, that’s sort of not the way you wanna run your business. Like, if you wanna employ a blue ocean strategy, then you need to tell a story. So embrace the power of storytelling in your strategy. Experiment with the different channels, social, and own leased assets. Like, your website, email marketing, social media channels, and YouTube and see where your audiences resonate with you.
When my marketing team pitched me a podcast idea, my first reaction was, literally. And today I do it like clockwork because it works. If it had no impact on the business, I wouldn’t do this. But, the audience we wanna talk to, listen to this content. So experiment with content, and start telling a story. If you’re not telling a story, then you’re still going to be. You’re just one more commodity provider, and it will always be about price points with you. So start telling a story.
2. The Power of Authenticity
No shade against the people who hire celebrities to endorse their products. For some products, celebrity endorsements matter, but for a lot of products, not necessarily. Like, authenticity matters. Authenticity matters to most people. Yes, the Philippines is a very celebrity-centric culture, and so it, like, having a celebrity endorsing your product will drive recognition, legitimacy, market share, and sales. It’s not going to move it as much as it used to. So start learning. Like, if you encountered a customer of yours on the street, would you recognize them? These are the people that need to start talking for you, like, these are the people that need to start talking about you.
3. Impact of Engagement
I remember when social media was starting to get popular and our… because Truelogic works with large brands. I remember the pushback that I used to get on social media. They used to say no, no, no, we don’t want to be on social, we don’t want to open a can of worms. Until the first brand does it. And then now everybody’s like, oh, they’re on Facebook, we need to be on Facebook. And sure enough, Facebook suddenly became a channel for customer service.
But don’t be afraid to engage your customers. Don’t be afraid to engage your customers. Like, the side effect of being in the channel where your audience is, is that your ear has to be wherever that channel you opened up is. So don’t be afraid of engaging your customers. Like, if I have seen a lot of small brands do it magnificently, like somebody will put in a complaint and then a representative of the brand just says, ma’am, I’m seeing your complaint, PM po. Like, that’s enough. Like, that’s enough. And people will see that the brand is responding and that you’re not just ignoring your customers.
4. Consistency is Key
Don’t just be digital. Like, don’t have a website because the boss says so. Don’t put up a Facebook page because the boss says so. And don’t have a YouTube channel because the boss says so. You have to know why you’re there, because the moment you are, your audience will expect a certain level of consistency.
There were a lot of brands that did not make it through the COVID-19 pandemic, and what I will argue is that when people looked for them online, they were not consistently present. Like, restaurants, where you didn’t know, would they take orders today? Would they not take orders today? Do they deliver? Do they not? Are they open? Are they not? Like, that’s one of the reasons why some of those brands did not survive.
If you want to be digital, sure, five, or six years ago, I might have excused you from not being consistent. Like I might have even made up a couple of excuses for you, but today, there is no excuse for being on digital and not being consistent. So if you’re going to be digital, be ready to be consistent with it, okay?
5. Leverage on Paid Advertising
There are cost-effective ways to utilize paid Google searches and Google display-like media. There are cost-effective ways to amplify your brand’s legitimacy, your market share, your share of mentions, and the number of ideas people associate with you effectively on social media. So if you are already telling a story authentically, you are engaging your customers, and you’re pretty consistent, the last bit is how do you amplify that? How do you get more people to see that you are telling an authentic story online consistently? And you do that by amplifying it, either by utilizing Google, like media or by utilizing social media, YouTube, Facebook, TikTok, like media.
And that’s it for this episode of the Truelogic DX Podcast. I hope you guys got some nuggets that you will find useful and that you will use in 2024. Thank you very much for joining us. Give us a shout-out on social media. Truelogic DX is available on Spotify, Google, and Apple accounts. Again, if there is a specific topic you’d like us to discuss or a guest that you’d like us to speak with if you’ve got topics or suggestions, we’re listening. Thank you to our marketing team for organizing the podcast and our friends at PodMachine, as always, for powering us. Thank you very much. I will see you in the next episode. Cheers.